
  • 网络core;Hearts of the World
  1. 事实是,这里才是技术世界的核心地带。

    The fact is that this is the core of the technology world .

  2. 他们是在通信和信息世界的核心。

    They are at the core of the world of communication and information .

Unrelated to this page: calculated crystals:
____________
Entry 1:
A plane-wave DFT calculation with PBE was carried out for AcTb2Ge after structural relaxation.

a b c (Å): 4.0867 4.0867 28.4672
angles (deg): 90.00 90.00 120.00
Space group R-3m (No. 166, hexagonal axes)
Inequivalent atoms, fractional coordinates:
Ac (0.0000, 0.0000, 0.0000) (multiplicity 3)
Tb (0.0000, 0.0000, 0.2231) (multiplicity 6)
Ge (0.0000, 0.0000, 0.5000) (multiplicity 3)

Calculated volume (Å³/atom): 34.31
Excess energy over the best structure of this formula in the dataset (eV per atom): 0.010
Magnetic moment (μB per formula unit): 0.000
Formation energy (meV/atom): -283
DFT total energy (Ry/atom): -0.35130
Theoretical density (Mg/m³): 7.5

Entry 2:
A plane-wave DFT calculation with PBE was carried out for AcTb2Ge4 after structural relaxation.

a b c (Å): 4.007 4.423 19.621
angles (deg): 90.00 90.00 90.00
Space group Immm (No. 71)
Inequivalent atoms, fractional coordinates:
Ac (0.000, 0.000, 0.000) (multiplicity 2)
Tb (0.000, 0.500, 0.316) (multiplicity 4)
Ge (0.000, 0.000, 0.423) (multiplicity 4)
Ge (0.000, 0.500, 0.164) (multiplicity 4)

Calculated volume (Å³/atom): 24.84
Magnetic moment (μB per formula unit): 0.000
____________

  3. 现在,Facebook已经成为新互联网世界的核心,很多人一天的在线生活也是从这里开始。

    Facebook is squarely at the center of this new universe , and much of what people do online these days starts there .

  4. 直指莫切世界的核心。

    Cuts to the heart of the Moche world .

  5. 我出访的首站是穆斯林世界的核心——沙特阿拉伯。

    My first stop will be Saudi Arabia - the heart of the Muslim World .

  6. 人的存在及其活动是文化世界的核心。

    The existence and activities of human beings are the core of the culture world .

  7. 我们都已经形成了关于我们自己、我们的生活以及世界的核心信念。

    We 've all developed core beliefs about ourselves , our lives and the world in general .

  8. 目前,环保与发展问题成为当代世界的核心问题。

    At present , the environmental and development issues become the core of the contemporary world issues .

  9. 数百年来,埃及一直是阿拉伯世界的核心;阿拉伯世界的趋势引领者和思想中心。

    For centuries Egypt has been the heart of the Arab world ; its trend setter and ideas centre .

  10. 法官是司法的主体,是法律世界的核心人物。

    The judge is the main body of the judicial system and the core characters in the legal world .

  11. 电子商务作为一种新的经济运行模式,将成为21世纪信息世界的核心。

    Electron commercial affairs , a new pattern of economical operation , will be the core of information world in the21th century .

  12. 信仰问题是人的精神世界的核心问题,也是制约人生观成熟发展的一个关键因素。

    Belief problem is the core in the peoples ′ spirit world , which is also a key factor to influence the development of the outlook on life .

The article is interrupted by data records:
- - -
{
  "formula": "CoSiPdO2",
  "functional": "PBE+U",
  "state": "relaxed",
  "lattice_angstrom": [[3.8051, 0.0000, 0.0000], [0.0000, 3.8051, 0.0000], [0.0000, 0.0000, 5.2742]],
  "species": ["Co", "Si", "Pd", "O", "O"],
  "fractional_positions": [[0.0000, 0.0000, 0.0000], [0.5000, 0.5000, 0.0000], [0.5000, 0.5000, 0.5000], [0.0000, 0.5000, 0.5000], [0.5000, 0.0000, 0.5000]],
  "n_ef_per_ev_cell": 6.91,
  "sg": "No. 123",
  "vol_a3_per_cell": 76.36,
  "e_tot_ev_per_atom": -4.62,
  "rho_g_cm3": 4.90
}
- - -

  13. 灵魂观是他们观念世界的核心,是理解和阐释自然界、人类社会的出发点,并不断在各种祭礼的反复展演和日常生活的经常表现中传承着。

    Their soul concept is the core of their ideology and the starting point of understanding and interpreting nature and the human society , which has been inherited through various rituals and daily activities .

  14. 电子商务不仅解决了时间和空间上的限制节省了资源,而且还可以提升企业的形象,可以说电子商务将成为二十一世纪人类信息世界的核心。

    E-commerce not only solves the constraints of time and space to save resources , but also enhances the corporate image . It can be said that e-commerce will become the core of information world in the twenty-first century .

  15. 虚拟社区是传统社区在网络空间的缩影和延伸,是以互联网为基础的虚拟世界的核心元素之一,虚拟社区的群体性、社会性等因素能影响社区成员的行为意向。

    Virtual community is the epitome and extension of traditional community in cyberspace , is one of the core elements of the virtual world which is based on the internet . Its social and other factors can affect the community members ' behavioral .

  16. TPP能够在世界经济的核心地区,建立起一个由美国和日本领导的国际商业框架。

    The T.P.P. will provide an American - and Japanese-led framework for business in the world 's center of economic power .

  17. 在过去的几百年里,曾经处在外围的欧洲、以及之后的美国成为了世界经济的核心。

    In the past few centuries , what was once the European and then American periphery became the core of the world economy .

  18. 戏谑地为国王加冕及脱冕是狂欢式的世界感受的核心所在,把这种脱冕与加冕的仪式移植到文学中来,形成了文学上的一种脱冕型结构。

    This ritual act of crowning / decrowning of a carnival king lies in the very core of the carnival sense of the world .

  19. 因此,如何提高政府管理部门在世界上的核心竞争力就成了摆在我国政府管理部门面前的首要课题。

    Therefore , how to raise the core competencies of the government management section in the world is the government initial topic of the management department . in our country .

  20. 鉴于亚太地区正日益成长为世界经济的核心,美国在亚太失去主导地位无疑将产生全球性的影响。

    Given that this is the region that is increasingly emerging as the core of the global economy , a loss of American predominance here would certainly have global implications .

  21. “海宝”不但反映了上海这座城市的精神,而且告诉我们世界博览会的核心理念是人,世界博览会的目标是成为代表任何生活的使者。

    " Haibao " not only reflects the very spirit of Shanghai , but also expresses the core concept of the World Exposition , that is the World Exposition stands for envoy of people and life as well .

  22. 人才由师而育,师由教师教育而出,教师教育自然成为当今中国乃至世界改革的核心,我国的教师教育在改革开放中也得到了迅速的发展和提升。

    People get education from teachers , who are civilized by the teacher 's education , so it naturally becomes the core of reform in China , as well as the whole world , which leads to its rapid development and advance in China .

  23. 美国和日本寿险公司的破产使寿险业偿付能力管理问题显得日益严峻,世界保险监管的核心也转向偿付能力监管。

    And the emphases of insurance regulation turned to solvency management .

  24. 制造业是促进世界经济增长的核心产业。

    The manufacturing industry is the core industry to promote world economic growth .

  25. 设计是意大利石材能在世界是大放异彩的核心。

    Design idea is the reason that why Italian stone famous on the world .

  26. 这对金融中心来讲也很重要,因为这些金融交易中心仍然是世界金融网络的核心。

    This matters to financial centres , because exchanges are still at the heart of the world 's financial network .

  27. 人才是最重要的战略资源,当今世界的竞争最核心的是人才竞争。

    Human resources are the most important strategic resources and lie at the heart of competition in today 's world .

  28. 和谐世界理论研究的核心问题,是解答‘和谐世界’何以可能这个基本问题。

    The core issue of the theorization is to answer the fundamental question of " why ' a harmonious world ' is possible " .

  29. 因为一项《传播学报》的研究表明女玩家实际上是网络虚拟世界中的统治核心。

    Because a study in the Journal of Communication shows that when it comes to dominating the virtual world , women are actually more hardcore than men .

  30. 延展的时间、目的论、进步史观构成了中世纪世界历史观念的核心内容。

    The Extending time , teleology and progressive historical view have constituted the kernel content of the ideas of " world history " of the Middle Age .